# Brief
Could you return all of the entries further down without altering anything?
# Material
┌──
# 1
C11H10 as an isolated structure at a distorted geometry, computed with ωB97M-V/def2-TZVPD.

```
21
Properties=species:S:1:pos:R:3:forces:R:3
H 1.037403 -3.187303 -1.066665 0.4 -1.4 0.3
C 0.349201 -1.197069 -0.825918 0.2 -0.4 0.7
H -0.589366 0.140379 2.950771 0.2 0.1 -1.5
H 0.049291 -4.174463 0.010036 0.0 0.1 0.5
H 0.239810 3.054747 -2.635475 -0.9 -1.0 2.5
H -0.821199 2.369507 1.747730 -0.1 0.8 1.3
H -0.595760 4.016555 0.121330 0.2 -2.2 -1.6
C -0.504654 2.887822 -0.242214 2.4 4.2 -2.8
C 0.370446 -1.960823 0.318199 -0.5 -1.9 -2.0
H 0.856340 -1.595435 -1.740815 -1.0 0.9 0.7
H 0.117741 0.536744 -2.789692 0.1 0.7 2.0
C -0.022898 0.994195 -1.732997 0.9 3.7 -3.0
C -0.445292 0.578167 0.617862 0.7 2.5 4.1
C 0.005089 -1.548861 1.572051 2.0 -0.1 4.4
C -0.010001 2.439586 -1.664188 -1.6 -2.8 1.6
C 0.790669 -3.378925 -0.014901 1.7 1.0 0.0
H 0.602498 -2.463666 2.375708 -2.7 3.1 -1.7
C -0.085008 0.091222 -0.639191 -0.3 1.3 -0.6
C -0.395666 -0.178019 1.894251 1.0 -3.2 -3.3
H 1.742614 -3.559714 0.549207 -0.9 -0.6 -0.4
C -0.491783 2.083146 0.796686 -1.5 -4.7 -0.9
```
Forces are in eV/Å.

The calculation puts the highest occupied orbital energy at -8.3 eV. Its LUMO energy is 0.426 eV. Its relative energy (zero: lowest compared OMol25 entry of this formula, charge and spin) is 92.8 kcal per mole. The value obtained for the total energy is -11565.443 eV. Its multiplicity is 1.

Results of the Mulliken charge analysis, in e, for atoms 1 through 5: 0.29, -0.69, 0.32, 0.29, 0.27

***

# 2
C11H10AgCl2NS as an isolated structure, computed with ωB97M-V/def2-TZVPD.

```
26
Properties=species:S:1:pos:R:3:forces:R:3
Cl -2.346580 -1.759317 3.391414 -0.3 0.1 0.1
H -1.710977 0.191136 -3.068046 -0.1 0.0 -0.1
C 2.865785 2.802557 -0.707950 -0.2 0.1 -0.5
C 1.959743 2.571333 -1.710160 0.3 0.2 0.1
C 1.809289 1.143915 0.724129 0.2 0.1 0.2
C -0.972053 0.414151 -2.315033 0.2 0.3 -0.2
H 3.510124 2.290266 1.271931 0.0 0.0 0.0
H -2.817643 -4.050564 3.120885 0.2 0.1 0.0
C -1.944597 -3.475543 3.427060 -0.2 -0.3 0.2
H 2.001286 3.106666 -2.646675 0.0 0.1 -0.1
C 0.948463 1.616172 -1.523611 -0.1 -0.2 0.2
C -1.003594 -0.267440 -1.088980 0.2 0.0 0.3
N -0.126239 -0.035359 -0.133852 -0.5 -0.5 0.1
Cl -0.623907 -3.795575 2.303867 0.1 -0.3 -0.1
C -0.000339 1.349518 -2.527319 -0.2 -0.2 0.1
H -2.666283 -1.015319 0.026898 0.0 -0.1 0.0
C 2.789058 2.098197 0.489371 -0.3 -0.3 0.1
S 1.846596 0.353434 2.263271 -0.2 -0.5 0.6
H 0.053433 1.892497 -3.458708 0.0 0.1 -0.1
H -1.605327 -2.269412 -0.642885 0.0 0.0 0.1
H -2.716120 -1.389349 -1.701034 -0.1 -0.1 0.0
Ag -0.063606 -1.153622 2.059241 0.5 0.7 -0.4
H -1.620918 -3.738781 4.432653 0.0 0.1 -0.2
H 3.645785 3.536109 -0.845916 0.1 0.1 0.0
C -2.062381 -1.297898 -0.836676 0.0 0.0 0.0
C 0.851000 0.882230 -0.303875 0.3 0.5 -0.5
```
Forces are in eV/Å.

The calculation puts the highest occupied orbital energy at -6.7 eV. Its LUMO energy is 0.074 eV. Its relative energy (zero: lowest compared OMol25 entry of this formula, charge and spin) is 1.9 kcal per mole. The value obtained for the total energy is -52939.191 eV. Its multiplicity is 1.

Results of the Mulliken charge analysis, in e, for atoms 1 through 5: -0.13, 0.30, -0.51, -0.86, 0.17

***

# 3
C11H10Br4O4S2V as an isolated structure, computed with ωB97M-V/def2-TZVPD.

```
32
Properties=species:S:1:pos:R:3:forces:R:3
H 0.572658 4.872057 0.288371 0.0 0.0 0.0
C 3.121949 -1.173024 2.526576 0.0 0.1 0.0
C -3.678618 -0.758041 -1.920493 0.0 0.0 0.0
H -4.277883 -1.612318 -2.255145 0.0 0.0 0.0
H -1.462225 -2.547538 0.053278 0.0 0.0 0.0
C 1.275353 4.053076 0.113671 0.0 0.0 0.0
C -2.904528 -1.081983 -0.641589 -0.1 0.1 0.1
C 1.407205 0.038990 1.283130 0.0 -0.1 0.0
S -0.186183 1.698505 -2.672717 0.0 0.0 0.1
H 2.296547 4.438257 0.075350 0.0 0.0 0.0
C -0.161957 2.770084 -1.300374 -0.2 0.0 0.2
C -2.014364 -2.303245 -0.854693 0.0 0.0 0.0
H -4.333625 0.097103 -1.747399 0.0 0.0 0.0
H -2.973105 -0.483510 -2.708919 0.0 0.0 0.0
C 3.106355 -2.184651 1.586835 0.0 0.0 -0.1
C 1.384103 -1.016465 0.300541 0.0 0.0 0.1
└──
# Worked solution
# 1
C11H10 as an isolated structure at a distorted geometry, computed with ωB97M-V/def2-TZVPD.

```
21
Properties=species:S:1:pos:R:3:forces:R:3
H 1.037403 -3.187303 -1.066665 0.4 -1.4 0.3
C 0.349201 -1.197069 -0.825918 0.2 -0.4 0.7
H -0.589366 0.140379 2.950771 0.2 0.1 -1.5
H 0.049291 -4.174463 0.010036 0.0 0.1 0.5
H 0.239810 3.054747 -2.635475 -0.9 -1.0 2.5
H -0.821199 2.369507 1.747730 -0.1 0.8 1.3
H -0.595760 4.016555 0.121330 0.2 -2.2 -1.6
C -0.504654 2.887822 -0.242214 2.4 4.2 -2.8
C 0.370446 -1.960823 0.318199 -0.5 -1.9 -2.0
H 0.856340 -1.595435 -1.740815 -1.0 0.9 0.7
H 0.117741 0.536744 -2.789692 0.1 0.7 2.0
C -0.022898 0.994195 -1.732997 0.9 3.7 -3.0
C -0.445292 0.578167 0.617862 0.7 2.5 4.1
C 0.005089 -1.548861 1.572051 2.0 -0.1 4.4
C -0.010001 2.439586 -1.664188 -1.6 -2.8 1.6
C 0.790669 -3.378925 -0.014901 1.7 1.0 0.0
H 0.602498 -2.463666 2.375708 -2.7 3.1 -1.7
C -0.085008 0.091222 -0.639191 -0.3 1.3 -0.6
C -0.395666 -0.178019 1.894251 1.0 -3.2 -3.3
H 1.742614 -3.559714 0.549207 -0.9 -0.6 -0.4
C -0.491783 2.083146 0.796686 -1.5 -4.7 -0.9
```
Forces are in eV/Å.

The calculation puts the highest occupied orbital energy at -8.3 eV. Its LUMO energy is 0.426 eV. Its relative energy (zero: lowest compared OMol25 entry of this formula, charge and spin) is 92.8 kcal per mole. The value obtained for the total energy is -11565.443 eV. Its multiplicity is 1.

Results of the Mulliken charge analysis, in e, for atoms 1 through 5: 0.29, -0.69, 0.32, 0.29, 0.27

***

# 2
C11H10AgCl2NS as an isolated structure, computed with ωB97M-V/def2-TZVPD.

```
26
Properties=species:S:1:pos:R:3:forces:R:3
Cl -2.346580 -1.759317 3.391414 -0.3 0.1 0.1
H -1.710977 0.191136 -3.068046 -0.1 0.0 -0.1
C 2.865785 2.802557 -0.707950 -0.2 0.1 -0.5
C 1.959743 2.571333 -1.710160 0.3 0.2 0.1
C 1.809289 1.143915 0.724129 0.2 0.1 0.2
C -0.972053 0.414151 -2.315033 0.2 0.3 -0.2
H 3.510124 2.290266 1.271931 0.0 0.0 0.0
H -2.817643 -4.050564 3.120885 0.2 0.1 0.0
C -1.944597 -3.475543 3.427060 -0.2 -0.3 0.2
H 2.001286 3.106666 -2.646675 0.0 0.1 -0.1
C 0.948463 1.616172 -1.523611 -0.1 -0.2 0.2
C -1.003594 -0.267440 -1.088980 0.2 0.0 0.3
N -0.126239 -0.035359 -0.133852 -0.5 -0.5 0.1
Cl -0.623907 -3.795575 2.303867 0.1 -0.3 -0.1
C -0.000339 1.349518 -2.527319 -0.2 -0.2 0.1
H -2.666283 -1.015319 0.026898 0.0 -0.1 0.0
C 2.789058 2.098197 0.489371 -0.3 -0.3 0.1
S 1.846596 0.353434 2.263271 -0.2 -0.5 0.6
H 0.053433 1.892497 -3.458708 0.0 0.1 -0.1
H -1.605327 -2.269412 -0.642885 0.0 0.0 0.1
H -2.716120 -1.389349 -1.701034 -0.1 -0.1 0.0
Ag -0.063606 -1.153622 2.059241 0.5 0.7 -0.4
H -1.620918 -3.738781 4.432653 0.0 0.1 -0.2
H 3.645785 3.536109 -0.845916 0.1 0.1 0.0
C -2.062381 -1.297898 -0.836676 0.0 0.0 0.0
C 0.851000 0.882230 -0.303875 0.3 0.5 -0.5
```
Forces are in eV/Å.

The calculation puts the highest occupied orbital energy at -6.7 eV. Its LUMO energy is 0.074 eV. Its relative energy (zero: lowest compared OMol25 entry of this formula, charge and spin) is 1.9 kcal per mole. The value obtained for the total energy is -52939.191 eV. Its multiplicity is 1.

Results of the Mulliken charge analysis, in e, for atoms 1 through 5: -0.13, 0.30, -0.51, -0.86, 0.17

***

# 3
C11H10Br4O4S2V as an isolated structure, computed with ωB97M-V/def2-TZVPD.

```
32
Properties=species:S:1:pos:R:3:forces:R:3
H 0.572658 4.872057 0.288371 0.0 0.0 0.0
C 3.121949 -1.173024 2.526576 0.0 0.1 0.0
C -3.678618 -0.758041 -1.920493 0.0 0.0 0.0
H -4.277883 -1.612318 -2.255145 0.0 0.0 0.0
H -1.462225 -2.547538 0.053278 0.0 0.0 0.0
C 1.275353 4.053076 0.113671 0.0 0.0 0.0
C -2.904528 -1.081983 -0.641589 -0.1 0.1 0.1
C 1.407205 0.038990 1.283130 0.0 -0.1 0.0
S -0.186183 1.698505 -2.672717 0.0 0.0 0.1
H 2.296547 4.438257 0.075350 0.0 0.0 0.0
C -0.161957 2.770084 -1.300374 -0.2 0.0 0.2
C -2.014364 -2.303245 -0.854693 0.0 0.0 0.0
H -4.333625 0.097103 -1.747399 0.0 0.0 0.0
H -2.973105 -0.483510 -2.708919 0.0 0.0 0.0
C 3.106355 -2.184651 1.586835 0.0 0.0 -0.1
C 1.384103 -1.016465 0.300541 0.0 0.0 0.1